== Source ==
- - -
# 1
Starting from a structure optimized by DFT (PBE), the X-ray diffraction stick pattern of Li8Ag3Pd3 was computed for copper Kα.
Lines closer than 0.1° are merged.

Structure:
abc: 7.6279 7.6279 7.6279
angles: 145.69 114.07 76.47
Atoms (fractional coordinates):
Li (0.0457, 0.2018, 0.8439)
Li (0.0744, 0.4022, 0.6723)
Li (0.2701, 0.5978, 0.6723)
Li (0.3579, 0.2018, 0.1561)
Li (0.6421, 0.7982, 0.8439)
Li (0.7299, 0.4022, 0.3277)
Li (0.9256, 0.5978, 0.3277)
Li (0.9543, 0.7982, 0.1561)
Ag (0.3034, 0.8034, 0.5000)
Ag (0.5000, 0.5000, 0.0000)
Ag (0.6966, 0.1966, 0.5000)
Pd (0.0000, 0.0000, 0.0000)
Pd (0.3176, 0.0000, 0.3176)
Pd (0.6824, 0.0000, 0.6824)

Main lines, low angle first (2θ from 15° to 90°):
2θ (°), I (rel.)
21.1, 56
27.0, 70
29.8, 36
37.1, 41
40.1, 34
41.2, 100

# 2
Starting from a structure optimized by DFT (PBE), the X-ray diffraction stick pattern of Li4AgPd was computed for copper Kα.
Lines closer than 0.1° are merged.

Structure:
abc: 4.3748 4.3748 5.4830
angles: 90.11 90.11 60.05
Atoms (fractional coordinates):
Li (0.1665, 0.1665, 0.2396)
Li (0.1668, 0.1668, 0.7630)
Li (0.8332, 0.8332, 0.2370)
Li (0.8335, 0.8335, 0.7604)
Ag (0.5000, 0.5000, 0.5000)
Pd (0.5000, 0.5000, 0.0000)

Main lines, low angle first (2θ from 15° to 90°):
2θ (°), I (rel.)
23.5, 100
32.7, 13
40.6, 56
41.3, 29
48.0, 14
59.3, 15

# 3
Starting from a structure optimized by DFT (PBE), the X-ray diffraction stick pattern of Li2Ag5Pd3 was computed for copper Kα.
Lines closer than 0.1° are merged.

Structure:
abc: 7.4422 7.4422 8.7729
angles: 108.70 108.70 21.74
Atoms (fractional coordinates):
Li (0.1788, 0.1788, 0.1176)
Li (0.8212, 0.8212, 0.8824)
Ag (0.2052, 0.2052, 0.6044)
Ag (0.3894, 0.3894, 0.2044)
Ag (0.5000, 0.5000, 0.0000)
Ag (0.6106, 0.6106, 0.7956)
Ag (0.7948, 0.7948, 0.3956)
Pd (0.0000, 0.0000, 0.5000)
Pd (0.4041, 0.4041, 0.6808)
Pd (0.5959, 0.5959, 0.3192)

Main lines, low angle first (2θ from 15° to 90°):
2θ (°), I (rel.)
33.7, 20
38.0, 100
39.0, 46
41.2, 37
44.8, 23
46.1, 30

# 4
Starting from a structure optimized by DFT (PBE), the X-ray diffraction stick pattern of Li2Ag2Pd was computed for copper Kα.
Lines closer than 0.1° are merged.

Structure:
abc: 8.5926 7.4174 5.5328
angles: 90.00 90.02 90.00
Atoms (fractional coordinates):
Li (0.1136, 0.0950, 0.2527)
Li (0.1136, 0.4050, 0.7527)
Li (0.3510, 0.5655, 0.2499)
Li (0.3510, 0.9345, 0.7499)
Li (0.6490, 0.0655, 0.2501)
Li (0.6490, 0.4345, 0.7501)
Li (0.8864, 0.5950, 0.2473)
Li (0.8864, 0.9050, 0.7473)
Ag (0.1257, 0.7488, 0.5000)
Ag (0.1257, 0.7512, 0.0000)
Ag (0.3769, 0.2495, 0.0002)
Ag (0.3769, 0.2505, 0.5002)
Ag (0.6231, 0.7505, 0.9998)
Ag (0.6231, 0.7495, 0.4998)
Ag (0.8743, 0.2488, 0.0000)
Ag (0.8743, 0.2512, 0.5000)
Pd (0.3722, 0.5802, 0.7509)
Pd (0.3722, 0.9198, 0.2509)
Pd (0.6278, 0.0802, 0.7491)
Pd (0.6278, 0.4198, 0.2491)

Main lines, low angle first (2θ from 15° to 90°):
2θ (°), I (rel.)
24.0, 70
29.0, 23
40.7, 100
42.1, 23
42.2, 44
60.0, 21

# 5
Starting from a structure optimized by DFT (PBE), the X-ray diffraction stick pattern of Li8Ag6Pd was computed for copper Kα.
Lines closer than 0.1° are merged.

Structure:
abc: 6.5759 6.5759 6.5759
angles: 79.55 79.55 79.55
Atoms (fractional coordinates):
Li (0.1211, 0.1211, 0.1211)
Li (0.2161, 0.2195, 0.5669)
Li (0.2195, 0.5669, 0.2161)
Li (0.4331, 0.7839, 0.7805)
Li (0.5669, 0.2161, 0.2195)
Li (0.7805, 0.4331, 0.7839)
Li (0.7839, 0.7805, 0.4331)
Li (0.8789, 0.8789, 0.8789)
Ag (0.1638, 0.5012, 0.8347)
Ag (0.1653, 0.8362, 0.4988)
Ag (0.4988, 0.1653, 0.8362)
Ag (0.5012, 0.8347, 0.1638)
Ag (0.8347, 0.1638, 0.5012)
Ag (0.8362, 0.4988, 0.1653)
Pd (0.5000, 0.5000, 0.5000)

Main lines, low angle first (2θ from 15° to 90°):
2θ (°), I (rel.)
20.0, 100
21.1, 22
29.3, 20
37.0, 65
42.4, 94
56.2, 36

# 6
Starting from a structure optimized by DFT (PBE), the X-ray diffraction stick pattern of Li6AgPd was computed for copper Kα.
Lines closer than 0.1° are merged.

Structure:
abc: 4.5689 5.6711 5.6711
angles: 60.07 90.00 90.00
- - -

== Brief ==
Your job: restate the lines above from the one with "(0.0744, 0.4022," to the one with "0.7473)" without altering anything.

== Completed ==
Li (0.0744, 0.4022, 0.6723)
Li (0.2701, 0.5978, 0.6723)
Li (0.3579, 0.2018, 0.1561)
Li (0.6421, 0.7982, 0.8439)
Li (0.7299, 0.4022, 0.3277)
Li (0.9256, 0.5978, 0.3277)
Li (0.9543, 0.7982, 0.1561)
Ag (0.3034, 0.8034, 0.5000)
Ag (0.5000, 0.5000, 0.0000)
Ag (0.6966, 0.1966, 0.5000)
Pd (0.0000, 0.0000, 0.0000)
Pd (0.3176, 0.0000, 0.3176)
Pd (0.6824, 0.0000, 0.6824)

Main lines, low angle first (2θ from 15° to 90°):
2θ (°), I (rel.)
21.1, 56
27.0, 70
29.8, 36
37.1, 41
40.1, 34
41.2, 100

# 2
Starting from a structure optimized by DFT (PBE), the X-ray diffraction stick pattern of Li4AgPd was computed for copper Kα.
Lines closer than 0.1° are merged.

Structure:
abc: 4.3748 4.3748 5.4830
angles: 90.11 90.11 60.05
Atoms (fractional coordinates):
Li (0.1665, 0.1665, 0.2396)
Li (0.1668, 0.1668, 0.7630)
Li (0.8332, 0.8332, 0.2370)
Li (0.8335, 0.8335, 0.7604)
Ag (0.5000, 0.5000, 0.5000)
Pd (0.5000, 0.5000, 0.0000)

Main lines, low angle first (2θ from 15° to 90°):
2θ (°), I (rel.)
23.5, 100
32.7, 13
40.6, 56
41.3, 29
48.0, 14
59.3, 15

# 3
Starting from a structure optimized by DFT (PBE), the X-ray diffraction stick pattern of Li2Ag5Pd3 was computed for copper Kα.
Lines closer than 0.1° are merged.

Structure:
abc: 7.4422 7.4422 8.7729
angles: 108.70 108.70 21.74
Atoms (fractional coordinates):
Li (0.1788, 0.1788, 0.1176)
Li (0.8212, 0.8212, 0.8824)
Ag (0.2052, 0.2052, 0.6044)
Ag (0.3894, 0.3894, 0.2044)
Ag (0.5000, 0.5000, 0.0000)
Ag (0.6106, 0.6106, 0.7956)
Ag (0.7948, 0.7948, 0.3956)
Pd (0.0000, 0.0000, 0.5000)
Pd (0.4041, 0.4041, 0.6808)
Pd (0.5959, 0.5959, 0.3192)

Main lines, low angle first (2θ from 15° to 90°):
2θ (°), I (rel.)
33.7, 20
38.0, 100
39.0, 46
41.2, 37
44.8, 23
46.1, 30

# 4
Starting from a structure optimized by DFT (PBE), the X-ray diffraction stick pattern of Li2Ag2Pd was computed for copper Kα.
Lines closer than 0.1° are merged.

Structure:
abc: 8.5926 7.4174 5.5328
angles: 90.00 90.02 90.00
Atoms (fractional coordinates):
Li (0.1136, 0.0950, 0.2527)
Li (0.1136, 0.4050, 0.7527)
Li (0.3510, 0.5655, 0.2499)
Li (0.3510, 0.9345, 0.7499)
Li (0.6490, 0.0655, 0.2501)
Li (0.6490, 0.4345, 0.7501)
Li (0.8864, 0.5950, 0.2473)
Li (0.8864, 0.9050, 0.7473)